[Material]
=====
Computed, not measured: a geometry-optimized ZnBP2PbO9 structure at the GGA-PBE level of DFT.

Cell: 5.3308 7.9986 8.2984 Å, 89.31 79.47 88.03°
Closest atoms and distances in Å follow each position.
Atoms (fractional coordinates):
O1 0.4472 0.6209 0.1877  1 P 1.54
B1 0.1148 0.2531 0.4563  4 O 1.45-1.49
O2 0.9469 0.8750 0.6547  1 B 1.47, 1 P 1.59
Pb1 0.2709 0.6969 0.9097  5 O 2.53-2.77
O3 0.8660 0.3172 0.5475  1 B 1.48, 1 P 1.56
P1 0.8004 0.4328 0.7000  4 O 1.54-1.58
Pb2 0.7291 0.3031 0.0903  5 O 2.53-2.77
O4 0.2680 0.3873 0.3636  1 B 1.49, 1 P 1.58
Zn1 0.2771 0.1957 0.7970  5 O 2.01-2.18
P2 0.2301 0.0623 0.1801  4 O 1.53-1.59
O5 0.1340 0.6828 0.4525  1 B 1.48, 1 P 1.56
B2 0.8852 0.7469 0.5437  4 O 1.45-1.49
O6 0.9798 0.5630 0.2025  1 P 1.54
O7 0.7117 0.8212 0.4455  1 B 1.45
O8 0.7320 0.6127 0.6364  1 B 1.49, 1 P 1.58
O9 0.0531 0.1250 0.3453  1 B 1.47, 1 P 1.59
O10 0.2240 0.2113 0.0572  1 P 1.56
O11 0.5528 0.3791 0.8123  1 P 1.54
P3 0.1996 0.5672 0.3000  4 O 1.54-1.58
Zn2 0.7229 0.8043 0.2030  5 O 2.01-2.18
O12 0.4903 0.9714 0.8002  1 P 1.54
O13 0.2883 0.1788 0.5545  1 B 1.45
O14 0.5097 0.0286 0.1998  1 P 1.54
O15 0.0202 0.4370 0.7975  1 P 1.54
O16 0.7760 0.7887 0.9428  1 P 1.56
O17 0.8979 0.0940 0.8668  1 P 1.53
P4 0.7699 0.9377 0.8199  4 O 1.53-1.59
O18 0.1021 0.9060 0.1332  1 P 1.53

## Properties
Symmetry = No. 2
DFT total energy = -6.685 eV/atom
Crystal system = triclinic
Formation energy from the elements = -2.34 eV/atom


Computed, not measured: a geometry-optimized TmCd2 structure at the GGA-PBE level of DFT.

Cell: 5.4062 5.4062 3.2012 Å, 90.00 90.00 120.00°
Closest atoms and distances in Å follow each position.
Atoms (fractional coordinates):
Tm1 0.0000 0.0000 0.0000  6 Cd 3.12, 2 Tm 3.20
Cd1 0.3333 0.6667 0.0472  3 Tm 3.12, 5 Cd 3.14-3.20
Cd2 0.6667 0.3333 0.9528  3 Tm 3.12, 5 Cd 3.14-3.20

## Properties
Symmetry = No. 164
DFT total energy = -1.972 eV/atom
Crystal system = trigonal
Formation energy from the elements = 0.14 eV/atom


Computed, not measured: a geometry-optimized Na6Ca6SiGe2S11O48 structure at the GGA-PBE level of DFT.

Cell: 18.0876 9.0169 23.8117 Å, 90.00 90.16 119.71°
Closest atoms and distances in Å follow each position.
Atoms (fractional coordinates):
S1 0.4936 0.6973 0.7512  4 O 1.45-1.54
Na1 0.3348 0.9639 0.5918  5 O 2.36-2.46
Na2 0.0089 0.9961 0.4957  2 O 2.45-2.57
S2 0.6513 0.9865 0.2553  4 O 1.46-1.54
Na3 0.5114 0.0140 0.5007  6 O 2.71-2.80
O1 0.0095 0.1974 0.1932  1 S 1.54
O2 0.4300 0.5464 0.0334  1 S 1.48
Na4 0.3341 0.6957 0.0821  4 O 2.39-2.64
S3 0.0159 0.6664 0.4151  4 O 1.47-1.49
O3 0.2498 0.3626 0.4201  1 S 1.50
S4 0.0010 0.2892 0.2450  4 O 1.45-1.54
O4 0.0664 0.6726 0.4646  1 S 1.47
S5 0.5076 0.3192 0.2553  4 O 1.46-1.54
O5 0.9251 0.3137 0.5369  1 S 1.46
O6 0.1758 0.4705 0.3672  1 S 1.47
O7 0.6750 0.4860 0.3570  1 S 1.56
S6 0.8417 0.0275 0.0877  4 O 1.45-1.56
O8 0.6592 0.8256 0.2639  1 S 1.54
S7 0.1507 0.2895 0.7506  4 O 1.45-1.54
Ca1 0.3349 0.3317 0.4827  6 O 2.18-2.39
O9 0.9112 0.7914 0.3037  1 Si 1.57
Ca2 0.1600 0.6677 0.0101  6 O 2.28-2.46
O10 0.9257 0.0201 0.0945  1 S 1.56
O11 0.5047 0.7926 0.6998  1 S 1.45
O12 0.2565 0.8472 0.0791  1 S 1.51
O13 0.9151 0.8484 0.9046  1 S 1.57
S8 0.3171 0.9638 0.4186  4 O 1.47-1.50
O14 0.3958 0.7817 0.3020  1 S 1.48
O15 0.1886 0.8770 0.5846  1 S 1.50
S9 0.9928 0.6961 0.7507  4 O 1.45-1.55
S10 0.6519 0.2909 0.7499  4 O 1.45-1.54
O16 0.4834 0.1745 0.5906  1 S 1.49
Na5 0.6657 0.6737 0.1618  6 O 2.60-2.82
Ca3 0.8327 0.3394 0.4793  6 O 2.21-2.41
S11 0.9863 0.6574 0.0899  4 O 1.47-1.55
Na6 0.1670 0.6656 0.6749  6 O 2.52-2.78
Ca4 0.6681 0.6704 0.8157  6 O 2.22-2.31
Na7 0.8326 0.3321 0.8337  6 O 2.55-2.68
O17 0.7510 0.6821 0.2619  1 Si 1.70, 1 Ge 1.80
O18 0.7757 0.6648 0.8622  1 S 1.45
O19 0.0601 0.4847 0.5858  1 S 1.48
Na8 0.6871 0.3712 0.2471  3 O 2.25-2.49
O20 0.7297 0.3232 0.0361  1 S 1.48
S12 0.4769 0.3322 0.5878  4 O 1.46-1.51
S13 0.6581 0.9709 0.9119  4 O 1.46-1.53
O21 0.8895 0.9835 0.6863  1 Si 1.62
O22 0.3463 0.1890 0.7453  1 Si 1.71, 1 Ge 1.80
=====

[What to do]
Could you search the material earlier on for the word "Cell" and write out each line that has it?

[Done]
Cell: 5.3308 7.9986 8.2984 Å, 89.31 79.47 88.03°
Cell: 5.4062 5.4062 3.2012 Å, 90.00 90.00 120.00°
Cell: 18.0876 9.0169 23.8117 Å, 90.00 90.16 119.71°